Cash: The king for disaster donations
Data records, as found in the file:
- - -
The following is a quantum chemistry calculation of C38H35N2P2PtSSi as an isolated structure at a distorted geometry, from the OMol25 dataset.

```
80
Properties=species:S:1:pos:R:3:lowdin_charge:R:1
Pt 0.046 -0.356 0.727 0.411
C -3.195 -0.066 1.971 -0.177
Si -2.230 0.005 0.362 0.488
C -2.457 1.730 -0.352 -0.285
C -3.688 2.257 -0.724 -0.082
C -3.788 3.517 -1.306 -0.061
C -2.647 4.272 -1.518 -0.058
C -1.412 3.771 -1.123 -0.075
C -1.321 2.516 -0.535 -0.377
P 0.299 1.882 0.016 0.927
C 0.903 3.189 1.143 -0.354
C 2.279 3.361 1.298 -0.146
C 2.778 4.330 2.153 -0.091
C 1.909 5.131 2.886 -0.079
C 0.540 4.957 2.747 -0.068
C 0.039 4.000 1.875 -0.072
C 1.374 2.082 -1.429 -0.346
C 1.488 0.992 -2.293 -0.082
C 2.188 1.114 -3.484 -0.063
C 2.790 2.319 -3.813 -0.066
C 2.687 3.404 -2.956 -0.065
C 1.977 3.293 -1.772 -0.097
C -2.871 -1.378 -0.786 -0.265
C -4.075 -1.364 -1.484 -0.073
C -4.486 -2.475 -2.214 -0.059
C -3.710 -3.626 -2.241 -0.061
C -2.510 -3.670 -1.545 -0.078
C -2.094 -2.545 -0.844 -0.380
P -0.528 -2.472 0.043 0.884
C 0.819 -2.587 -1.180 -0.372
C 0.602 -2.571 -2.561 -0.076
C 1.682 -2.487 -3.420 -0.084
C 2.969 -2.375 -2.921 -0.086
C 3.193 -2.360 -1.559 -0.067
C 2.117 -2.475 -0.682 -0.121
C -0.405 -3.921 1.129 -0.347
C 0.353 -5.048 0.831 -0.078
C 0.384 -6.110 1.723 -0.068
C -0.337 -6.054 2.908 -0.066
C -1.093 -4.928 3.208 -0.065
C -1.123 -3.863 2.323 -0.094
H -4.270 -0.055 1.771 0.040
H -2.956 0.797 2.594 0.033
H -2.967 -0.975 2.529 0.014
H -4.594 1.683 -0.562 0.100
H -4.755 3.907 -1.596 0.111
H -2.717 5.246 -1.982 0.111
H -0.519 4.365 -1.277 0.106
H 2.957 2.750 0.716 0.102
H 3.848 4.484 2.231 0.109
H 2.298 5.896 3.545 0.109
H -0.144 5.578 3.310 0.110
H -1.032 3.881 1.764 0.111
H 1.012 0.054 -2.031 0.069
H 2.263 0.269 -4.153 0.097
H 3.339 2.415 -4.741 0.110
H 3.153 4.345 -3.218 0.111
H 1.890 4.149 -1.116 0.103
H -4.707 -0.484 -1.467 0.095
H -5.421 -2.445 -2.757 0.111
H -4.040 -4.490 -2.802 0.111
H -1.904 -4.569 -1.553 0.117
H -0.404 -2.644 -2.953 0.107
H 1.519 -2.503 -4.490 0.114
H 3.805 -2.299 -3.605 0.113
H 4.203 -2.283 -1.178 0.109
H 2.272 -2.507 0.391 0.082
H 0.917 -5.102 -0.092 0.108
H 0.975 -6.985 1.487 0.110
H -0.307 -6.885 3.600 0.110
H -1.654 -4.875 4.131 0.110
H -1.702 -2.977 2.559 0.091
N 1.929 1.459 4.103 0.135
C 2.262 0.548 3.195 -0.921
N 3.429 0.676 2.557 0.119
S 1.239 -0.787 2.914 0.571
H 2.491 2.274 4.285 0.113
H 1.019 1.396 4.526 0.108
H 4.096 1.391 2.794 0.117
H 3.730 -0.085 1.974 0.102
```

total charge	+1
E_HOMO	-10.459	eV
energy above the lowest of the compared OMol25 structures with the same formula, charge and spin	0.0561	eV
frontier orbital gap	8.210	eV
LUMO energy	-0.083	Eh

The following is a quantum chemistry calculation of C38H36As3NO6SY as an isolated structure at a distorted geometry, from the OMol25 dataset.

```
86
Properties=species:S:1:pos:R:3:lowdin_charge:R:1
Y 1.532 -0.019 0.209 1.273
O 3.291 1.872 -0.531 -0.319
As 4.542 0.738 0.044 0.945
O 5.953 0.888 -0.727 -0.404
O 3.482 -0.601 -0.211 -0.547
- - -
Here the text continues:

[Unrelated to this text: molecular data]
........
This record from the OMol25 dataset describes one molecule with the formula C4H3N5O at a distorted geometry. The level of theory is ωB97M-V/def2-TZVPD.

Cartesian coordinates (Å):
C 1.7092 0.2493 -1.7448
C 1.0512 -0.5515 0.0757
C -1.5073 -0.8915 1.6167
C -1.0340 0.9439 0.1430
N 2.0351 -0.6304 -0.7978
N 0.5260 0.8693 -1.5632
N 0.6729 -1.4231 0.9092
N -0.4206 -1.4265 1.5870
N 0.1282 0.5484 -0.3440
O -2.5852 -0.7739 2.0135
H 2.3286 0.3446 -2.5821
H -1.6668 1.4656 -0.4505
H -1.2375 1.2757 1.1372

- orbital gap (alpha / beta) (eV) = 7.0 / 7.0
- maximum force (eV/Å) = 3.3
- net charge = 0
- spin multiplicity = 1
- energy relative to the best compared isomer or geometry (same formula, charge and spin) (eV) = 3.861
- calculated total energy (hartree) = -503.080979

This record from the OMol25 dataset describes a 2-piece molecular cluster, C3H7OP overall at a distorted geometry. The level of theory is ωB97M-V/def2-TZVPD.

Cartesian coordinates (Å):
O 1.2867 -1.3930 -0.8775
C 1.9214 -0.3951 -0.9965
P 2.6928 0.4958 0.4660
H 2.1088 0.1863 -1.8412
H 2.2136 1.7761 0.0724
H 1.4915 0.1305 1.1574
C -1.3795 0.4677 0.5728
C -0.7406 0.9442 1.6214
H -2.1484 -0.2002 0.6974
H -0.9697 0.3291 -0.4181
H -1.0489 0.6093 2.5686
H 0.1373 1.4925 1.5267

- orbital gap (eV) = 10.1
- maximum force (eV/Å) = 2.7
- net charge = 0
- spin multiplicity = 1
- energy relative to the best compared isomer or geometry (same formula, charge and spin) (eV) = 2.399
- calculated total energy (hartree) = -534.990040

This record from the OMol25 dataset describes a 3-piece molecular cluster, C4H10O3 overall at a distorted geometry. The level of theory is ωB97M-V/def2-TZVPD.

Cartesian coordinates (Å):
C -0.4465 -0.7355 2.7423
C -0.6377 0.2348 1.8520
C 0.3666 0.6643 0.8591
C 0.0714 1.7796 0.0647
O 1.4965 -0.0730 0.8929
H 0.2544 -1.4291 2.6035
H -1.0905 -0.7374 3.6105
H -1.6558 0.6156 1.5295
H 0.7397 2.3717 -0.5130
H -1.1099 2.0698 0.0676
H 1.6595 -0.3404 -0.0403
O -1.2621 -0.5322 -2.7038
H -1.6788 -0.2703 -1.8509
H -1.8551 -0.0965 -3.2974
O 1.9428 -1.3264 -1.6338
H 0.9749 -1.3619 -1.7277
H 2.2306 -0.8331 -2.4552

- orbital gap (eV) = 8.8
- maximum force (eV/Å) = 4.3
- net charge = 0
- spin multiplicity = 1
- energy relative to the best compared isomer or geometry (same formula, charge and spin) (eV) = 3.105
- calculated total energy (hartree) = -384.035522

This record from the OMol25 dataset describes a 6-piece molecular cluster, C28H67BrO7Si overall at a distorted geometry. The level of theory is ωB97M-V/def2-TZVPD.

Cartesian coordinates (Å):
C 5.9997 -1.2395 -2.1344
C 5.5021 -0.0034 -1.3727
C 4.2214 0.5958 -1.9796
Br 3.9985 2.3953 -1.1767
Si 4.2581 0.8134 -3.8806
C 2.9211 -0.2228 -4.7440
C 2.8966 -1.6753 -4.2264
C 1.5417 -2.3568 -4.5133
C 0.5821 -1.9481 -3.3946
C -0.8601 -2.4373 -3.5701
C -1.9322 -1.3619 -3.3327
C -1.7047 -0.4873 -2.1029
C -2.3486 0.9030 -2.2267
O -2.1543 1.4904 -3.5273
C -0.8623 1.6200 -3.8854
C 0.1487 2.2604 -2.9463
O -0.5035 1.2317 -4.9174
H 6.6091 -0.9761 -2.9896
........
This post was originally published on Forbes Nonprofit Council.
In August 2019, as my son was starting his first year of high school, Hurricane Dorian hit the Bahamas. Dorian was a Category 5 hurricane that brought prolonged and intense storm conditions, resulting in thousands of homes destroyed and tens of thousands of people left homeless. The storm was even more catastrophic for the Bahamian people as it stalled over the island nation for more than 48 hours, causing an estimated $3.4 billion in damage overall.
In a commendable effort to connect coursework to reality, my son’s engineering teacher assigned a group project: design a donation package for Dorian survivors with a list of items, their dimensions and weight, and the subsequent packing requirements—a project that would test the students on their spatial planning skills.
My son thought he had an ace in the hole for his team: a mom who worked in and on disasters. That evening he asked me, “What do we include in the box?” I responded that it was a more straightforward project than he envisioned, as all he needed was an item measuring 4⅛ x 9½ inches.
My mechanically-inclined son gave me a look, saying, “but that won’t fit anything.” “Yes, it will,” I responded, “an envelope will fit just what the Bahamians need, as what they need is cash.”
Our family’s discussions over dinner the next few nights centered on the best way to help people in need, especially those further away—a way that gives them the dignity of choice and agency over their recovery decisions. Here are a few highlights:
Cash is cheaper than in-kind.
The shipment of in-kind donations into a disaster can create problems. Shipping items requires logistics, which is costly and challenging in a disaster where ports or roads are damaged. Then there is the receiving and storage of goods. And lastly, the influx of donations presents distribution challenges.
For example, how do you fairly and adequately distribute thousands of 14-ounce cans of varying contents? One solution could be to provide hot meals with what is collected. However, the idea of being on the receiving end of the multitude of canned goods post-hurricane strikes me as an extreme version of a kitchen reality chef challenge: cook a culturally appropriate meal for 500 people with this variety of small cans in 12 hours!
Cash is nimble.
{
  "formula": "C21H64N4O9",
  "method": "ωB97M-V with the def2-TZVPD basis set",
  "e_above_lowest_kj_mol": 1489.3,
  "total_charge": 0,
  "e_homo_ev": -9.16,
  "homo_lumo_gap_ev": 9.811,
  "mol_weight_da": 516.76,
  "smiles": "COC[C@H](C)N.COC[C@H](C)N.COC[C@H](C)N.COC[C@H](C)N.CO.CO.CO.CO.CO",
  "symbols": ["C", "C", "C", "O", "C", "N", "H", "H", "H", "H", "H", "H", "H", "H", "H", "H", "H", "C", "C", "C", "O", "C", "N", "H", "H", "H", "H", "H", "H", "H", "H", "H", "H", "H", "C", "C", "C", "O", "C", "N", "H", "H", "H", "H", "H", "H", "H", "H", "H", "H", "H", "C", "C", "C", "O", "C", "N", "H", "H", "H", "H", "H", "H", "H", "H", "H", "H", "H", "C", "O", "H", "H", "H", "H", "C", "O", "H", "H", "H", "H", "C", "O", "H", "H", "H", "H", "C", "O", "H", "H", "H", "H", "C", "O", "H", "H", "H", "H"],
# The data records stop here
Relief needs in the earliest days of response may seem clear-cut. Thus, in-kind donations follow a pattern: water, clothes and shelter items. However, the needs on the ground shift as the affected communities and the nonprofits supporting them learn more. For example, as time goes on, it may be medical supplies, rubble removal or structural repairs, or other items connected to the community’s economic livelihood.
Cash allows the nonprofits on the ground to be flexible in their support to communities, allowing the people at the disaster’s center to choose what they need to get themselves on the path to recovery. Share on XCash supports the local economy.
The donation of items that are available within the local market disincentivizes local procurement at the very moment when an infusion of cash is what the community needs. Cash donations allow for local procurement of project goods and have a ripple effect of supporting the economy of the affected area.
Cash-based approaches to disaster recovery reduce poverty and vulnerability by giving people the freedom to choose how they rebuild their lives and provide a pathway to economic empowerment. Donating cash to an organization you have researched and supported allows the nonprofit to listen to communities and follow their lead on how best to help.
Of course, there are exceptions when in-kind support can be effective. If this is your preference, seek out nonprofit organizations that specialize in managing in-kind donations—for example, local shelters and food banks often provide lists of items needed.
At the Center for Disaster Philanthropy, we encourage all donors to be disaster philanthropists. As the pandemic has shown, disasters are personal and affect everyone differently. Our giving should reflect our understanding of this through donating money to the professionals who know best how to help the people most impacted.